Raphael Magyezi, the minister of local government, has been asked to address complaints regarding the Parish Development Model’s implementation before the legislature (PDM).
In order to move 39% of households from a subsistence economy to a money economy and as a wealth creation program at the lowest economic planning unit, , the Parish Development Model (PDM) was introduced for the fiscal year 2020–2021.
The model is built upon seven pillars, including the development of the agricultural value chain, infrastructure and economic services, financial inclusion, social services, community mobilization and mindset change, parish-based management information system, governance and administration, and social services.
However financial inclusion, one of the program’s foundations, has limitations, as noted by parliamentarians. For instance, Laura Kanushu, one of the PWD representatives, claimed that the 10% money set aside for PWDs at the parish level has not been implemented and that many PWDs have been prevented from establishing their own SACCOs.
In a similar vein, Northern Uganda Youth MP Boniface Okot said that numerous youths around the nation had been instructed to join SACCOs that already existed rather than starting their own. In accordance with the PDM standards, he continued, youth leaders are not included in the SACCOs’ leadership.
“According to the rules, the Parish Youth Council Chairperson ought to be a member of the committee. Yet, we have noticed that several youth leaders have been demoted,” added Okot, who also urged the translation of the PDM rules into regional languages to facilitate information transmission.
According to Toroma County MP Joseph Koluo, the funds that have been distributed to SACCOs are not reaching their intended beneficiaries. He explained that despite the fact that documentation show there is money in the chosen bank accounts, once organizations attempt to withdraw the money, they find absolutely nothing.
Caroline Kamusiime, a member of parliament from Rukiga, also requested for money to help Parish Chiefs carry out their responsibility of gauging the program’s progress. She claimed that despite not receiving funding for sensitization efforts, parish heads in Rukiga did not yet have the public’s support for the approach.
The newly established parishes have not benefited from funds under the new scheme, according to Butambala Women MP Aisha Kabanda, who cited a mismatch between the Election Commission and Local Government. Kabanda claims that even though the new parishes were made into electoral districts, the Ministries of Finance and Local Government failed to take them into account when awarding funds.
Based on these concerns, the Minister was instructed by the Deputy Speaker of Parliament, Thomas Tayebwa, to deliver a report on the many observations and suggestions made by lawmakers on Thursday while the house continued to discuss the various regional oversight reports on the new program.
“I need you to compile all the reports, read the observations, and consider the suggestions. The Deputy Speaker commanded, “Give us a comment on the cross-cutting issues and highlight those that are specific to particular sectors.
The Parish Development Model (PDM) faces a number of obstacles, including incomplete baseline data, implementing entities lacking the resources to carry out the start-up activities, and the diversion of 17.5 billion, 594.7 million Shillings in five Local Governments, among others, which Auditor General John Muwanga outlined in his most recent report.
Muwanga advised the Ministry of Local Government and the Ministry of Finance to make sure all PDM funds that have been disbursed are fully accounted for. He also advised accounting officers to revoke the appointment letters of any parish chiefs who were appointed inadvertently and recover any money that had been paid.
-- Data records from another source follow --
Density functional theory data (GGA-PBE) for a relaxed K12Rb16In crystal.

**Total magnetization**: 0.0 μB/cell

CIF file:
```
data_K12Rb16In
_chemical_formula_sum 'K12 Rb16 In1'
_symmetry_space_group_name_H-M 'P 1'
_symmetry_Int_Tables_number 1
_symmetry_space_group_name_Hall 'P 1'
_cell_length_a 14.276
_cell_length_b 14.276
_cell_length_c 14.444
_cell_angle_alpha 70.70
_cell_angle_beta 70.70
_cell_angle_gamma 107.91
loop_
_atom_site_label
_atom_site_fract_x
_atom_site_fract_y
_atom_site_fract_z
_atom_site_occupancy
K1 0.823 0.823 0.786 1
K2 0.642 0.642 0.169 1
K3 0.338 0.147 0.037 1
K4 0.817 0.636 0.388 1
K5 0.190 0.002 0.639 1
K6 0.374 0.997 0.818 1
K7 0.193 0.775 0.178 1
K8 0.775 0.193 0.178 1
K9 0.997 0.374 0.818 1
K10 0.002 0.190 0.639 1
K11 0.636 0.817 0.388 1
K12 0.147 0.338 0.037 1
Rb1 0.435 0.435 0.685 1
Rb2 0.996 0.996 0.003 1
Rb3 0.985 0.985 0.375 1
Rb4 0.308 0.308 0.286 1
Rb5 0.654 0.447 0.939 1
Rb6 0.574 0.289 0.419 1
Rb7 0.993 0.680 0.589 1
Rb8 0.982 0.628 0.003 1
Rb9 0.717 0.312 0.690 1
Rb10 0.391 0.983 0.329 1
Rb11 0.983 0.391 0.329 1
Rb12 0.312 0.717 0.690 1
Rb13 0.628 0.982 0.003 1
Rb14 0.680 0.993 0.589 1
Rb15 0.289 0.574 0.419 1
Rb16 0.447 0.654 0.939 1
In1 0.694 0.694 0.638 1
```



Density functional theory data (GGA-PBE) for a relaxed K5Rb5In crystal.

**Total magnetization**: 0.0 μB/cell

CIF file:
```
data_K5Rb5In
_chemical_formula_sum 'K5 Rb5 In1'
_symmetry_space_group_name_H-M 'P 1'
_symmetry_Int_Tables_number 1
_symmetry_space_group_name_Hall 'P 1'
_cell_length_a 6.728
_cell_length_b 11.339
_cell_length_c 14.590
_cell_angle_alpha 109.85
_cell_angle_beta 90.00
_cell_angle_gamma 107.26
loop_
_atom_site_label
_atom_site_fract_x
_atom_site_fract_y
_atom_site_fract_z
_atom_site_occupancy
K1 0.900 0.799 0.157 1
K2 0.900 0.801 0.737 1
K3 0.500 0.000 0.000 1
K4 0.100 0.199 0.263 1
K5 0.100 0.201 0.843 1
Rb1 0.765 0.530 0.387 1
Rb2 0.756 0.513 0.870 1
Rb3 0.000 0.000 0.500 1
Rb4 0.244 0.487 0.130 1
Rb5 0.235 0.470 0.613 1
In1 0.000 0.000 0.000 1
```



Density functional theory data (GGA-PBE) for a relaxed K4Rb2In crystal.

**Total magnetization**: 0.0 μB/cell

CIF file:
```
data_K4Rb2In
_chemical_formula_sum 'K4 Rb2 In1'
_symmetry_space_group_name_H-M 'P 1'
_symmetry_Int_Tables_number 1
_symmetry_space_group_name_Hall 'P 1'
_cell_length_a 6.900
_cell_length_b 6.900
_cell_length_c 12.067
_cell_angle_alpha 73.39
_cell_angle_beta 73.39
_cell_angle_gamma 90.00
loop_
_atom_site_label
_atom_site_fract_x
_atom_site_fract_y
_atom_site_fract_z
_atom_site_occupancy
K1 0.838 0.838 0.324 1
K2 0.162 0.162 0.676 1
K3 0.000 0.500 0.000 1
K4 0.500 0.000 0.000 1
Rb1 0.636 0.636 0.729 1
Rb2 0.364 0.364 0.271 1
In1 0.000 0.000 0.000 1
```



Density functional theory data (GGA-PBE) for a relaxed K3RbIn crystal.

**Total magnetization**: 0.0 μB/cell

CIF file:
```
data_K3RbIn
_chemical_formula_sum 'K3 Rb1 In1'
_symmetry_space_group_name_H-M 'P 1'
_symmetry_Int_Tables_number 1
_symmetry_space_group_name_Hall 'P 1'
_cell_length_a 7.365
The Auditor General did point out that the government has made some progress toward implementing PDM, including creating a National Policy Committee to provide strategic direction for the program, establishing a working PDM Secretariat, making the program widely known across the country, and issuing implementation guidelines.